Stateside,  The Left,  The Right

Wisdom from the Left and the Right

This is from the leftwing American academic Fredrik deBoer:

I know men and women, people of every race, gay and straight, trans and cisgender, and of every other facet of human diversity, who have deep reservations about the current habits of the American left and are desperate for a realist left movement that cares about winning and does what it takes to make winning more likely. I would name some individual names, but then I’m associating them with me, and I have no interest in forcing others to answer for my position. It’s enough to say that every day, I encounter more people who are convinced that contemporary left practice is a road to nowhere. Many of them are hesitant to be public with these complaints, because the backlash against them can be quite severe. But every day, people get a little bit bolder. The exhaustion and disillusionment has begun to outweigh the natural tendency to keep quiet and play along.

What do these people object to? They’re tired of the prioritization of the symbolic over the substantive; of the ever-more-obscure left-wing vocabulary; of the near-total silence on class issues; of the abandonment of labor organizing as a principal method of political action; of the insistence that people who aren’t already convinced must educate themselves, when convincing others is and has always been the basic requirement of political action; of the confusion of pop culture ephemera with meaningful political victory; of the celebrity worship; of the clumsy Manicheanism that divides the world into all good and all bad; of the use of cruelty, shaming, and character assassination; of the insistence that people within a political movement should “just listen” when someone makes a claim, no matter how outlandish, misguided, unfair, or wrong; of the expectation that everyone should know how to speak and act in perfect congruence with obscure and elitist conceptions of righteous behavior; of the profound conservatism of demanding that everyone occupy a narrow band of cultural practices, refusing to enjoy the world’s vast cultural bounties, out of fear of appropriating someone else’s culture; and, more than anything, of the willful obscurity and inaccessibility, the total and complete indifference towards actually reaching out and building a bigger movement by meeting people halfway and trying to adapt to them as you ask them to adapt to you, the replacement of a mass political movement with an exclusive social circle.

And this is from the rightwing Wall Street Journal columnist Bret Stephens:

Misplaced materials data
<<<
(1)
Starting from DFT lattice parameters and positions (PBE+U), the X-ray powder pattern of Li2TiVO4 was calculated for CuKα.
Kinematic intensities with the Lorentz-polarization factor, no thermal factor.

Crystal structure
abc: 5.1382 2.9797 5.2177
angles: 90.00 108.90 90.00
Positions (direct):
Li1 0.0000 0.0000 0.0000
Li2 0.5000 0.5000 0.0000
Ti1 0.0000 0.5000 0.5000
V1 0.5000 0.0000 0.5000
O1 0.2294 0.0000 0.7291
O2 0.2368 0.5000 0.2640
O3 0.7632 0.5000 0.7360
O4 0.7706 0.0000 0.2709

Main lines, in order of rising 2θ (10° ≤ 2θ ≤ 80°):
2θ (°)	I (rel.)	h k l
18.0	1000	0 0 1
35.3	277	1 1 0
35.5	128	2 0 -1
37.0	90	2 0 0
42.7	617	1 1 1
42.9	300	2 0 -2
46.7	137	2 0 1
61.8	166	1 1 -3
62.6	159	3 1 -1
78.7	108	2 2 -2



(2)
Starting from DFT lattice parameters and positions (PBE+U), the X-ray powder pattern of Li2TiV5O12 was calculated for CuKα.
Kinematic intensities with the Lorentz-polarization factor, no thermal factor.

Crystal structure
abc: 5.7246 6.8389 13.1221
angles: 99.56 96.79 108.17
Positions (direct):
Li1 0.0000 0.0000 0.0000
Li2 0.1918 0.3922 0.7017
Li3 0.5153 0.0054 0.5027
Li4 0.7085 0.3845 0.1949
Ti1 0.3217 0.6208 0.3106
Ti2 0.8251 0.6215 0.8084
V1 0.0146 0.3265 0.4338
V2 0.0812 0.8597 0.6628
V3 0.1001 0.5358 0.0296
V4 0.2069 0.0571 0.2630
V5 0.4090 0.7891 0.8899
V6 0.4898 0.3561 0.9481
V7 0.6014 0.5168 0.5219
V8 0.6076 0.8633 0.1639
V9 0.6838 0.0736 0.7660
V10 0.8985 0.7699 0.3852
O1 0.0661 0.7362 0.9414
O2 0.1642 0.6948 0.7529
O3 0.1924 0.2877 0.9935
O4 0.2265 0.6670 0.1779
O5 0.2481 0.8803 0.3667
O6 0.2505 0.3871 0.5464
O7 0.3113 0.3548 0.3373
O8 0.4444 0.9963 0.6534
O9 0.4526 0.0861 0.8683
O10 0.4750 0.5031 0.8355
O11 0.4856 0.7015 0.0248
O12 0.5066 0.0847 0.1929
O13 0.5861 0.7379 0.4414
O14 0.6527 0.6700 0.2513
O15 0.7183 0.2860 0.4872
O16 0.7365 0.6539 0.6683
O17 0.7501 0.3955 0.0467
O18 0.7558 0.8952 0.8540
O19 0.8490 0.3592 0.8145
O20 0.9239 0.0470 0.3595
O21 0.9374 0.9826 0.1465
O22 0.9580 0.5002 0.3348
O23 0.9842 0.0784 0.6947
O24 0.9951 0.7229 0.5205

Main lines, in order of rising 2θ (10° ≤ 2θ ≤ 80°):
2θ (°)	I (rel.)	h k l
13.9	644	0 1 0
17.5	278	0 1 -2
19.1	474	1 0 1
21.8	274	0 1 2
28.6	437	0 1 -4
29.1	1000	-1 2 1
33.9	255	2 0 -2
39.9	206	2 0 -4
40.0	214	2 1 -2
53.6	292	1 -1 7



(3)
Starting from DFT lattice parameters and positions (PBE+U), the X-ray powder pattern of Li2TiVO5 was calculated for CuKα.
Kinematic intensities with the Lorentz-polarization factor, no thermal factor.

Crystal structure
abc: 6.7144 6.7144 4.6091
angles: 90.00 90.00 90.00
Positions (direct):
Li1 0.0000 0.0000 0.0000
Li2 0.0000 0.5000 0.0000
Li3 0.5000 0.0000 0.0000
Li4 0.5000 0.5000 0.0000
Ti1 0.2500 0.7500 0.5000
Ti2 0.7500 0.2500 0.5000
V1 0.2500 0.2500 0.3919
V2 0.7500 0.7500 0.6081
O1 0.0312 0.7500 0.7369
O2 0.2500 0.2500 0.7577
O3 0.2500 0.5312 0.2631
O4 0.2500 0.9688 0.2631
O5 0.4688 0.7500 0.7369
O6 0.5312 0.2500 0.2631
O7 0.7500 0.0312 0.7369
O8 0.7500 0.4688 0.7369
O9 0.7500 0.7500 0.2423
O10 0.9688 0.2500 0.2631
>>>

We want four—and probably eight—more years of cable-news neuralgia. We want to drive ourselves to work as Mark Levin or Laura Ingraham scratch our ideological itches until they bleed a little. We want the refiner’s fire that is our righteous indignation at a country we claim no longer to recognize—ruled by impostors and overrun by foreigners.

== Calculated crystals, kept here for reference ==
/*
# Ac6PmPd4
Simulated X-ray powder pattern, copper Kα. Input: a crystal structure in Alexandria, relaxed with PBE.

Structural model:
Lattice parameters (Å, degrees): 6.4250 6.4250 9.8568 106.91 106.91 95.94
Fractional coordinates of all 11 atoms:
Ac (0.0000, 0.0000, 0.0000)
Ac (0.0881, 0.5921, 0.6642)
Ac (0.1741, 0.6299, 0.2860)
Ac (0.5191, 0.5191, 0.9987)
Ac (0.5921, 0.0881, 0.6642)
Ac (0.6299, 0.1741, 0.2860)
Pm (0.0538, 0.0538, 0.5884)
Pd (0.1689, 0.1689, 0.3472)
Pd (0.4608, 0.9885, 0.9304)
Pd (0.6967, 0.6967, 0.3470)
Pd (0.9885, 0.4608, 0.9304)

Principal peaks in the range 2θ = 10–90°, in order of rising 2θ:
d = 3.250 Å, I 32
d = 3.006 Å, I 100
d = 2.959 Å, I 40
d = 2.593 Å, I 55
d = 2.386 Å, I 30
d = 2.151 Å, I 23

# MgH8C6S2N2O8
Simulated X-ray powder pattern, copper Kα. Input: a crystal structure in Alexandria, relaxed with PBE.

Structural model:
Lattice parameters (Å, degrees): 5.1673 7.4704 8.4528 82.65 80.78 71.14
Fractional coordinates of all 27 atoms:
Mg (0.0000, 0.0000, 0.0000)
H (0.2379, 0.6274, 0.0975)
H (0.2631, 0.2091, 0.7794)
H (0.4656, 0.7006, 0.9835)
H (0.4925, 0.0173, 0.8300)
H (0.5075, 0.9827, 0.1700)
H (0.5344, 0.2994, 0.0165)
H (0.7369, 0.7909, 0.2206)
H (0.7621, 0.3726, 0.9025)
C (0.0968, 0.2917, 0.2038)
C (0.1485, 0.6225, 0.6782)
C (0.4737, 0.4170, 0.5375)
C (0.5263, 0.5830, 0.4625)
C (0.8515, 0.3775, 0.3218)
C (0.9032, 0.7083, 0.7962)
S (0.2955, 0.7769, 0.5513)
S (0.7045, 0.2231, 0.4487)
N (0.2610, 0.4392, 0.6579)
N (0.7390, 0.5608, 0.3421)
O (0.1458, 0.1162, 0.1851)
O (0.2401, 0.3950, 0.1356)
O (0.2827, 0.7444, 0.0512)
O (0.2910, 0.0774, 0.8287)
O (0.7090, 0.9226, 0.1713)
O (0.7173, 0.2556, 0.9488)
O (0.7599, 0.6050, 0.8644)
O (0.8542, 0.8838, 0.8149)

Principal peaks in the range 2θ = 10–90°, in order of rising 2θ:
d = 5.172 Å, I 90
d = 4.474 Å, I 38
d = 3.445 Å, I 100
d = 3.375 Å, I 79
d = 2.878 Å, I 34
d = 2.427 Å, I 33

# Nb2Ru3
Simulated X-ray powder pattern, copper Kα. Input: a crystal structure in Alexandria, relaxed with PBE.

Structural model:
Lattice parameters (Å, degrees): 6.9163 6.9163 6.9163 132.21 66.17 137.07
Fractional coordinates of all 10 atoms:
Nb (0.1810, 0.1926, 0.3736)
Nb (0.3190, 0.6926, 0.0116)
Nb (0.6810, 0.3074, 0.9884)
Nb (0.8190, 0.8074, 0.6264)
Ru (0.0997, 0.6436, 0.7433)
Ru (0.2500, 0.2500, 0.0000)
Ru (0.4003, 0.1436, 0.5440)
Ru (0.5997, 0.8564, 0.4560)
Ru (0.7500, 0.7500, 0.0000)
Ru (0.9003, 0.3564, 0.2567)

Principal peaks in the range 2θ = 10–90°, in order of rising 2θ:
d = 2.531 Å, I 39
d = 2.398 Å, I 83
d = 2.294 Å, I 100
d = 2.262 Å, I 41
d = 2.142 Å, I 45
d = 1.261 Å, I 41

# BaPa3Cu4S12
Simulated X-ray powder pattern, copper Kα. Input: a crystal structure in Alexandria, relaxed with PBE.

Structural model:
Lattice parameters (Å, degrees): 8.5320 8.5320 8.5320 105.24 105.24 105.24
Fractional coordinates of all 20 atoms:
Ba (0.0000, 0.0000, 0.0000)
Pa (0.0000, 0.5590, 0.4410)
Pa (0.4410, 0.0000, 0.5590)
Pa (0.5590, 0.4410, 0.0000)
Cu (0.0701, 0.5000, 0.9299)
*/
== Here the entry continues ==

We also want to turn the Republican Party into a gated community. So much nicer that way. If the lesson of Mitt Romney’s predictable loss in 2012 was that it’s bad politics to tell America’s fastest-growing ethnic group that some of their relatives should self-deport, or to castigate 47% of the country as a bunch of moochers—well, so what? Abraham Lincoln once said “If you would win a man to your cause, first convince him that you are his sincere friend.” What. Ever. Now the party of Lincoln has as its front-runner an insult machine whose political business is to tell Mexicans, Muslims, physically impaired journalists, astute Jewish negotiators and others who cross his sullen gaze that he has no use for them or their political correctness.
Years ago, the late columnist Michael Kelly wrote of American liberalism that it was “an ideology of self-styled saints, a philosophy of determined perversity. Its animating impulse is to marginalize itself and then enjoy its own company. And to make itself as unattractive to as many people as possible: If it were a person, it would pierce its tongue.”

**Between two parts of the piece: materials data**
1.
Diffraction record for K2LiS2. The powder diffraction line list is theoretical, not measured: it uses a PBE-relaxed structure and Cu Kα (λ = 1.5418 Å).
Kinematic intensities with the Lorentz-polarization factor, no thermal factor.

Peak list (8 most intense, 10 to 90 degrees two-theta, by angle)
d/Å  two_theta  intensity
7.438  11.90  21
4.223  21.04  100
3.719  23.93  15
2.986  29.92  38
2.791  32.07  27
2.328  38.67  15
2.138  42.27  22
1.889  48.18  17

Atomic structure:
```
K2LiS2
1.0
4.223 0.000 0.000
0.000 4.223 0.000
0.000 0.000 14.876
K Li S
2 1 2
Cartesian
0.000 0.000 2.341
0.000 0.000 12.535
0.000 0.000 7.438
0.000 0.000 5.149
0.000 0.000 9.727
```



2.
Diffraction record for Mn5Ge2. The powder diffraction line list is theoretical, not measured: it uses a PBE-relaxed structure and Cu Kα (λ = 1.5418 Å).
Kinematic intensities with the Lorentz-polarization factor, no thermal factor.

Peak list (8 most intense, 10 to 90 degrees two-theta, by angle)
d/Å  two_theta  intensity
2.373  37.92  28
2.141  42.21  23
2.068  43.76  100
1.984  45.73  99
1.962  46.27  22
1.947  46.64  94
1.185  81.14  21
1.117  87.30  24

Atomic structure:
```
Mn5Ge2
1.0
-2.987 5.734 2.654
2.987 -5.734 2.654
2.987 5.734 -2.654
Mn Ge
10 4
Cartesian
2.987 3.091 -1.327
4.265 1.252 0.000
0.000 0.000 1.327
1.277 4.482 0.000
0.000 2.643 1.327
2.987 3.091 1.327
1.710 1.252 2.654
0.000 0.000 3.981
-1.277 4.482 2.654
0.000 2.643 3.981
1.709 1.335 0.000
1.709 -1.335 2.654
1.279 7.069 0.000
1.279 4.399 2.654
```

=====

For LaNbCo2Sb2, a structure optimized by DFT (GGA-PBE) gives the calculated XRD peak list in this record (a wavelength of 1.5418 Å).
Peak positions follow from Bragg's law for the DFT cell and can differ from measured ones.

Largest 8 diffraction maxima, low angle first, 15 to 90 degrees two-theta:
2theta  I (rel.)
28.34  259
28.52  498
39.82  210
40.64  1000
41.70  258
49.60  109
59.02  129
75.40  157

Structural model:
```
data_LaNbCo2Sb2
_chemical_formula_sum 'La2 Nb2 Co4 Sb4'
_cell_length_a 4.332
_cell_length_b 9.055
_cell_length_c 6.298
_cell_angle_alpha 90.00
_cell_angle_beta 90.00
_cell_angle_gamma 90.00
_symmetry_space_group_name_H-M 'P m n 21'
_symmetry_Int_Tables_number 31
loop_
_symmetry_equiv_pos_as_xyz
'x,y,z'
'-x+1/2,-y,z+1/2'
'-x,y,z'
'x+1/2,-y,z+1/2'
loop_
_atom_site_label
_atom_site_type_symbol
_atom_site_fract_x
_atom_site_fract_y
_atom_site_fract_z
_atom_site_occupancy
La1 La 0.000 0.117 0.000 1
Nb1 Nb 0.000 0.614 0.006 1
Co1 Co 0.000 0.394 0.265 1
Co2 Co 0.000 0.827 0.221 1
Sb1 Sb 0.000 0.156 0.499 1
Sb2 Sb 0.000 0.615 0.512 1
```

For LaNd2Co2Sn7, a structure optimized by DFT (GGA-PBE) gives the calculated XRD peak list in this record (a wavelength of 1.5418 Å).
Peak positions follow from Bragg's law for the DFT cell and can differ from measured ones.

Largest 8 diffraction maxima, low angle first, 15 to 90 degrees two-theta:
2theta  I (rel.)
31.85  1000
32.32  231
39.05  253
39.12  231
51.58  214
56.46  191
63.86  95
66.31  255
**Back to the piece**

On current trend, this will soon better describe American conservatism, which is going the way of the Democratic Party circa 1972. So let’s skip the non-suspense of next year’s campaign cycle, gird ourselves for a McGovern-style debacle, and elect Hillary Rodham Clinton now.